Entries:
********
Starting from a cell relaxed with PBE, the X-ray powder pattern of CdCO3 was computed for CuKα.
Lines closer than 0.1° are merged.

Structure:
Cell: 5.0167 5.0167 16.6117 Å, 90.00 90.00 120.00°
Space group R-3c (No. 167, hexagonal axes)
Inequivalent atoms, fractional coordinates:
1 Cd 0.0000 0.0000 0.0000
2 C 0.0000 0.0000 0.2500
3 O 0.0000 0.2590 0.2500

Top 10 peaks for 10 to 90 degrees two-theta, sorted by position:
hkl	Position (°2θ)	I_rel
0 1 2	23.10	705
1 0 4	29.76	1000
1 1 0	35.80	347
2 0 2	43.04	260
0 2 4	47.22	161
0 1 8	48.60	233
1 1 6	49.00	360
1 2 2	57.18	209
2 1 4	60.64	152
3 0 0	64.33	101
********

What to do:
Next, work out how many lines further above have the word "powder" in them; a number is enough.

Worked solution:
1